== Listing ==
- - -
Structure and calculated PXRD pattern of Mn2SbPCl (a crystal structure in Alexandria, relaxed with PBE; Cu Kα, 1.54184 Å).

Atomic structure:
a = 5.267 Å, b = 5.267 Å, c = 5.009 Å
α = 90.00°, β = 90.00°, γ = 90.00°
Space group P4/mmm (No. 123)
Asymmetric unit:
Mn 0.000 0.500 0.000 x2
Sb 0.000 0.000 0.000 x1
P 0.000 0.000 0.500 x1
Cl 0.500 0.500 0.500 x1

Most intense lines, 10° ≤ 2θ ≤ 90°, by angle:
16.83 deg, I 85
17.71 deg, I 76
24.53 deg, I 83
34.04 deg, I 100
35.86 deg, I 43
38.63 deg, I 44
42.41 deg, I 38
48.91 deg, I 34
- - -
== Work order ==
Start at the top of the material further above and retype each line, ending with the one that has "38.63 deg,".
== Outcome ==
Structure and calculated PXRD pattern of Mn2SbPCl (a crystal structure in Alexandria, relaxed with PBE; Cu Kα, 1.54184 Å).

Atomic structure:
a = 5.267 Å, b = 5.267 Å, c = 5.009 Å
α = 90.00°, β = 90.00°, γ = 90.00°
Space group P4/mmm (No. 123)
Asymmetric unit:
Mn 0.000 0.500 0.000 x2
Sb 0.000 0.000 0.000 x1
P 0.000 0.000 0.500 x1
Cl 0.500 0.500 0.500 x1

Most intense lines, 10° ≤ 2θ ≤ 90°, by angle:
16.83 deg, I 85
17.71 deg, I 76
24.53 deg, I 83
34.04 deg, I 100
35.86 deg, I 43
38.63 deg, I 44